Listing
____________
Starting from the PBE geometry in Alexandria, the powder XRD pattern of LaCo2SiH was simulated for Cu Kα, 1.54184 Å.
No peak broadening, texture or thermal motion is included.

Crystal structure
Unit cell a=3.812 b=10.727 c=6.649 alpha=90.00 beta=90.00 gamma=90.00
Space group Cmcm (No. 63)
Inequivalent atoms, fractional coordinates:
La: 0.000 0.067 0.250
Co: 0.000 0.333 0.058
Si: 0.000 0.215 0.750
H: 0.000 0.500 0.000

Most intense lines, 5° ≤ 2θ ≤ 70°, sorted by position:
2theta, Rel. int., hkl
28.24, 27, 1 1 1
31.67, 29, 0 2 2
34.39, 41, 1 3 0
36.12, 64, 0 4 1
36.84, 100, 1 1 2
37.03, 71, 1 3 1
44.20, 40, 0 2 3
47.72, 31, 2 0 0
54.32, 24, 1 3 3
61.28, 27, 2 4 1


Starting from the PBE geometry in Alexandria, the powder XRD pattern of SmAgSn2 was simulated for Cu Kα, 1.54184 Å.
No peak broadening, texture or thermal motion is included.

Crystal structure
Unit cell a=4.676 b=4.676 c=4.479 alpha=90.00 beta=90.00 gamma=90.00
Space group P4/mmm (No. 123)
Inequivalent atoms, fractional coordinates:
Sm: 0.000 0.000 0.000
Ag: 0.500 0.500 0.000
Sn: 0.000 0.500 0.500

Most intense lines, 5° ≤ 2θ ≤ 70°, sorted by position:
2theta, Rel. int., hkl
18.98, 1, 1 0 0
27.58, 1, 1 0 1
33.69, 100, 1 1 1
____________

Assignment
Could you print every line further up that contains the word "geometry"?

Result
Starting from the PBE geometry in Alexandria, the powder XRD pattern of LaCo2SiH was simulated for Cu Kα, 1.54184 Å.
Starting from the PBE geometry in Alexandria, the powder XRD pattern of SmAgSn2 was simulated for Cu Kα, 1.54184 Å.